
Town Hall Meeting: CEO makes an interesting offer to parents about GLR, as school discusses re-opening plans

Although nobody knows when schools will resume physically for third-term, as a forward-thinking school, we understand the need to put plans in place to keep our students and employees safe when school re-opens. In a town hall meeting held via Zoom between 26th and 27th of May 2020, members of our community had the opportunity to share ideas on different measures to prevent the spread of COVID-19 within our community. 

Town Hall Meeting
Screenshot from elementary school town hall meeting on Zoom

One major highlight of the meeting was the announcement by our CEO, Mrs Lai Koiki, that since the third term will be a continuation of the Greensprings Learning Room (GLR), we will capture May, June & July 2020 GLR fees as a portion of third term fees and parents will only need to pay the balance. 

She, however, stated that if GLR extends beyond July 2020, additional monthly GLR payments will be captured as stand-alone and therefore will not be part of the third term fees.

Concerning the re-opening of schools by the government, Mrs Koiki made it known that safety of the students and staff is paramount; therefore, whenever government decides to announce the re-opening, we will run a hybrid system of both physical and online classes in order to create an environment for social distancing. 

There will also be a controlled playtime, whereby students will go out for recess in stages according to their grade levels; this will help us with tracking in case there’s ever a need for contact tracing.

**These quantum chemistry results were left in the article by mistake**
No. 1
{
  "formula": "C22H35BrO2OsP2",
  "method": "ωB97M-V/def2-TZVPD",
  "gap_ev": [6.41, 3.90],
  "e_homo_ha": [-0.471, -0.477],
  "spin_multiplicity": 5,
  "de_lowest_ev": 0.012,
  "total_charge": 2,
  "lumo_ev": [-6.4, -9.1],
  "total_energy_ha": -4356.2086,
  "elements": ["P", "P", "C", "C", "H", "H", "H", "H", "C", "H", "H", "H", "C", "H", "H", "H", "C", "H", "H", "H", "C", "H", "H", "H", "Os", "C", "C", "C", "C", "C", "C", "C", "C", "C", "H", "H", "H", "H", "H", "H", "H", "H", "H", "H", "H", "H", "H", "H", "H", "Br", "C", "C", "C", "C", "C", "C", "C", "O", "O", "H", "H", "H", "H"],
  "xyz": [[2.55, 1.99, -0.97], [0.96, -0.84, -2.98], [2.98, 1.07, -2.49], [1.86, 0.64, -3.48], [3.47, 0.15, -2.13], [3.74, 1.63, -3.07], [1.12, 1.44, -3.67], [2.31, 0.34, -4.44], [1.70, -2.33, -3.76], [1.18, -3.23, -3.40], [2.76, -2.40, -3.44], [1.61, -2.26, -4.85], [-0.59, -0.75, -3.95], [-0.39, -1.24, -4.92], [-0.88, 0.29, -4.07], [-1.37, -1.30, -3.41], [4.16, 2.23, -0.15], [3.99, 2.67, 0.84], [4.84, 2.89, -0.71], [4.66, 1.26, -0.02], [2.07, 3.71, -1.36], [1.24, 3.74, -2.08], [2.92, 4.31, -1.75], [1.72, 4.22, -0.45], [0.52, 1.07, 2.01], [-1.87, -1.36, -1.27], [-0.91, -1.96, -0.53], [0.60, -1.81, -0.37], [1.54, -0.59, 0.12], [1.39, 0.95, -0.06], [-0.02, 1.45, -0.17], [-0.67, 0.83, -1.37], [-2.03, 0.18, -1.32], [0.48, 2.56, 3.26], [-2.69, -1.96, -1.72], [-1.28, -2.65, 0.24], [1.09, -2.27, -1.26], [0.87, -2.55, 0.42], [1.55, -0.70, 1.24], [2.57, -0.85, -0.21], [1.84, 1.46, 1.06], [-0.12, 2.56, -0.17], [0.03, 0.02, -1.70], [-0.61, 1.56, -2.20], [-2.57, 0.57, -0.45], [-2.54, 0.50, -2.24], [-0.49, 3.02, 3.50], [1.29, 3.30, 3.19], [0.72, 1.93, 4.16], [-4.11, -1.80, 1.10], [-3.92, -1.76, 2.97], [-4.97, -2.31, 3.74], [-4.86, -2.40, 5.13], [-3.67, -2.02, 5.75], [-2.61, -1.52, 4.97], [-2.75, -1.28, 3.60], [-1.53, -0.69, 2.86], [-0.45, -1.33, 2.88], [-1.59, 0.49, 2.32], [-5.88, -2.65, 3.24], [-5.72, -2.76, 5.71], [-3.57, -2.14, 6.83], [-1.67, -1.33, 5.47]]
}

***

No. 2
{
  "formula": "C5H6Cl2",
  "method": "ωB97M-V/def2-TZVPD",
  "gap_ev": 8.52,
  "e_homo_ha": -0.356,
  "spin_multiplicity": 1,
  "de_lowest_ev": 3.243,
  "lumo_ev": -1.2,
  "total_energy_ha": -1114.3425,
  "elements": ["C", "C", "C", "C", "C", "Cl", "Cl", "H", "H", "H", "H", "H", "H"],
  "xyz": [[-1.38, -0.27, -0.24], [-0.66, 0.22, -1.42], [0.94, 1.00, 0.69], [0.03, 0.17, -0.07], [1.15, -0.51, 0.50], [0.07, -1.63, 2.46], [2.44, -1.59, 0.18], [-2.21, 0.21, 0.06], [-1.52, -1.42, -0.11], [-0.25, -0.34, -2.22], [-0.85, 1.18, -1.71], [1.61, 1.64, 0.19], [0.61, 1.32, 1.70]]
}

***

No. 3
{
  "formula": "C3H5NO2",
  "method": "ωB97M-V/def2-TZVPD",
  "gap_ev": 11.04,
  "e_homo_ha": -0.380,
  "spin_multiplicity": 1,
  "de_lowest_ev": 3.010,
  "smiles": "O=C=NCC=O.[H][H]",
  "lumo_ev": 0.7,
  "total_energy_ha": -322.4637,
  "elements": ["O", "C", "N", "C", "C", "O", "H", "H", "H", "H", "H"],

It was also stated in the meeting that our campuses wouldn’t open physically if there is a feeling that it isn’t safe to do so. We will explore a three-day per week model, whereby students will only have to come to school three times a week. However, the three days will be longer than usual to enable us to make up for missed days. The aim of doing this is also to ensure there is more than enough room to practise social distancing in the school.

See also:  Memories from Funday 2018

<<<
ORCA calculation (ωB97M-V with the def2-TZVPD basis set) on a structure of composition C43H52BBrN9O8S4Zr at a distorted geometry.

Structure (XYZ):
```
119
Properties=species:S:1:pos:R:3:forces:R:3:mulliken_charge:R:1
Zr -0.2895 0.4545 -1.2027 -1.114 -0.369 1.105 -0.043
C -5.2357 -4.0418 2.8310 0.009 -0.017 0.009 -1.767
C -4.8872 -2.9763 1.7868 0.087 0.064 -0.014 1.366
C -4.6682 -3.6768 0.4495 -0.038 -0.034 -0.009 -1.993
C -6.0275 -1.9663 1.6408 0.011 0.024 -0.020 -1.471
N -3.6843 -2.2368 2.2736 -0.240 -0.092 0.059 0.510
C -3.6764 -1.6996 3.5623 -0.029 -0.095 -0.168 -0.708
C -2.5551 -0.9791 3.6913 0.175 -0.003 -0.166 -1.123
N -1.8569 -1.0700 2.4992 0.102 0.218 0.146 0.624
B -0.5467 -0.3005 2.2314 -0.034 -0.010 0.442 1.726
N -0.7016 1.1220 2.7922 0.114 -0.225 0.198 0.565
C -0.1277 1.6359 3.9334 -0.039 -0.046 -0.132 -1.286
C -0.3745 2.9541 3.9466 -0.046 0.072 -0.158 -0.482
N -1.0906 3.2575 2.7875 -0.065 0.320 0.098 0.465
C -1.3056 2.1040 2.0976 0.142 0.067 -0.077 0.068
S -2.1878 1.8117 0.6533 -0.026 -0.313 0.054 -0.235
C -1.3076 4.6882 2.4107 0.003 -0.146 -0.011 1.604
C -2.0363 5.3753 3.5655 -0.027 -0.009 0.030 -1.812
C -2.1359 4.8553 1.1441 -0.027 0.009 0.000 -1.832
C 0.0710 5.3090 2.1746 0.042 -0.025 -0.039 -1.441
N 0.6354 -1.0390 2.8843 -0.254 -0.128 -0.091 0.580
C 0.5722 -2.3090 3.4499 0.057 0.304 -0.019 -1.041
C 1.8295 -2.7203 3.6690 0.191 0.172 0.038 -0.631
N 2.6916 -1.7068 3.2466 0.172 -0.301 -0.157 0.462
C 1.9474 -0.6819 2.7197 -0.117 -0.044 0.262 0.186
S 2.4429 0.7579 2.0077 -0.011 -0.087 0.005 -0.417
C 4.1859 -1.8259 3.2196 -0.185 0.035 0.068 1.304
C 4.5923 -3.1233 3.9123 -0.032 -0.078 -0.008 -2.138
C 4.8083 -0.6630 3.9888 -0.039 0.066 0.081 -1.619
C 4.6742 -1.8598 1.7752 -0.032 0.093 -0.106 -1.393
C -2.5571 -1.8227 1.6171 -0.003 0.084 0.230 0.183
S -2.0502 -2.1234 0.0340 0.006 0.252 -0.076 0.176
H -6.0387 -4.6695 2.4425 0.005 0.018 0.018 0.467
H -5.5793 -3.6142 3.7736 0.016 0.001 -0.016 0.403
H -4.3691 -4.6747 3.0305 -0.029 0.001 -0.011 0.371
H -5.5807 -4.2379 0.2350 0.009 -0.022 -0.002 0.570
H -3.8273 -4.3695 0.4845 -0.035 0.023 0.005 0.413
H -4.4885 -2.9711 -0.3575 -0.050 -0.040 0.052 0.343
H -6.9395 -2.4812 1.3298 0.034 0.018 0.006 0.462
H -5.7695 -1.2245 0.8830 -0.008 -0.010 0.014 0.234
H -6.2271 -1.4474 2.5808 0.006 -0.027 -0.021 0.336
H -4.4655 -1.8748 4.2682 -0.018 -0.007 -0.032 0.559
H -2.1893 -0.4048 4.5260 -0.006 -0.016 -0.051 0.660
H -0.3918 -0.1886 1.0486 0.350 -0.107 -0.384 -1.620
H 0.4419 1.0248 4.6118 -0.017 0.005 -0.045 0.676
H -0.0651 3.7066 4.6471 -0.024 0.007 -0.029 0.515
H -2.9820 4.8694 3.7685 0.008 0.025 -0.004 0.383
H -2.2483 6.4095 3.2902 0.011 -0.010 0.015 0.463
H -1.4465 5.3874 4.4826 -0.005 -0.002 -0.014 0.387
H -3.1231 4.4041 1.2332 0.029 0.034 0.003 0.388
H -1.6418 4.4090 0.2847 -0.019 0.057 0.119 -0.025
H -2.2469 5.9284 0.9740 -0.011 0.007 0.005 0.646
H 0.6905 5.2784 3.0723 -0.013 0.002 -0.009 0.356
H -0.0450 6.3522 1.8728 0.002 -0.021 0.012 0.474
H 0.5939 4.7666 1.3838 0.007 0.020 0.027 0.203
>>>

Before the school re-opens, all our campuses will be thoroughly fumigated and disinfected. Students and staff will wear face masks and shields; disinfection will be done weekly and surfaces would be cleaned every two hours. 

Additionally, there is a plan to set up an isolation room and to install a disinfection channel at the entrance of all our campuses. This channel will help make sure people entering the school’s premises have their whole body properly disinfected and not carrying any pathogen. 

In the meantime, we will continue to wait for the government’s announcement on guidelines and date for re-opening for schools.